== Source ==
____________
No. 1
Theoretical X-ray powder pattern of ZrS4Br4Cl2 for CuKα, from a structure optimized by DFT (PBE).

The 12 most intense peaks (2θ = 5–70°), by angle:
2θ (°)	Rel. int.	(hkl)
14.7	39	1 1 1
16.0	50	0 1 1
16.3	56	1 0 1
21.6	29	1 0 -1
22.4	74	1 1 2
26.8	27	1 2 0
27.4	34	1 2 2
27.8	30	2 1 2
34.6	100	2 0 -1
34.8	38	-1 1 2
36.1	27	2 1 3
51.5	24	2 2 -2

Structure:
```
ZrS4Br4Cl2
1.0
7.363 0.000 0.000
3.562 6.564 0.000
3.392 2.127 6.951
Zr S Br Cl
1 4 4 2
direct
0.000 0.000 0.000
0.278 0.607 0.496
0.441 0.336 0.671
0.559 0.664 0.329
0.722 0.393 0.504
0.041 0.593 0.195
0.383 0.864 0.777
0.617 0.136 0.223
0.959 0.407 0.805
0.160 0.012 0.214
0.840 0.988 0.786
```

=====

No. 2
Theoretical X-ray powder pattern of Tb2Se2BrCl for CuKα, from a structure optimized by DFT (PBE).

The 12 most intense peaks (2θ = 5–70°), by angle:
2θ (°)	Rel. int.	(hkl)
10.3	100	0 0 1
18.7	48	0 1 1
23.9	26	1 0 1
30.0	83	1 0 2
31.5	39	0 2 0
40.0	14	1 2 1
41.5	23	1 1 3
42.0	13	0 0 4
44.0	15	2 0 0
44.1	57	1 2 2
53.5	13	0 2 4
55.1	16	2 2 0

Structure:
```
Tb2Se2BrCl
1.0
4.120 0.000 0.000
0.000 5.673 0.000
0.000 0.000 8.605
Tb Se Br Cl
2 2 1 1
direct
0.000 0.000 0.000
0.500 0.500 0.278
0.000 0.500 0.043
0.500 0.000 0.237
0.000 0.500 0.505
0.500 0.000 0.799
```

=====

No. 3
Theoretical X-ray powder pattern of ZrSe4Br4Cl2 for CuKα, from a structure optimized by DFT (PBE).

The 12 most intense peaks (2θ = 5–70°), by angle:
2θ (°)	Rel. int.	(hkl)
15.3	52	1 1 0
16.3	100	0 1 1
21.6	33	1 0 -1
21.9	51	1 1 2
27.3	51	1 2 2
32.4	43	0 2 -1
32.8	25	1 2 -1
34.6	51	2 0 -1
35.3	21	1 -2 0
35.8	26	1 2 3
36.6	24	3 2 1
49.4	28	3 4 2

Structure:
```
ZrSe4Br4Cl2
1.0
7.682 0.000 0.000
3.776 6.715 0.000
3.736 1.578 7.132
Zr Se Br Cl
1 4 4 2
direct
0.000 0.000 0.000
0.255 0.620 0.494
0.431 0.322 0.680
0.569 0.678 0.320
0.745 0.380 0.506
0.051 0.612 0.182
0.158 0.037 0.213
0.842 0.963 0.787
0.949 0.388 0.818
0.356 0.874 0.781
0.644 0.126 0.219
```

=====

No. 4
Theoretical X-ray powder pattern of Zr2Se2BrCl for CuKα, from a structure optimized by DFT (PBE).

The 12 most intense peaks (2θ = 5–70°), by angle:
2θ (°)	Rel. int.	(hkl)
10.8	100	0 0 1
19.9	12	0 1 1
26.3	14	1 0 1
31.3	13	1 1 1
32.5	80	1 0 2
33.7	40	0 2 0
35.5	12	0 2 1
36.8	13	1 1 2
44.2	12	0 0 4
47.5	63	1 2 2
49.0	14	2 0 0
60.8	14	2 2 0

Structure:
```
Zr2Se2BrCl
1.0
3.719 0.000 0.000
0.000 5.320 0.000
0.000 0.000 8.194
Zr Se Br Cl
2 2 1 1
direct
0.000 0.000 0.000
0.500 0.500 0.202
0.000 0.500 0.956
0.500 0.000 0.244
0.000 0.500 0.449
0.500 0.000 0.776
```

=====

No. 5
Theoretical X-ray powder pattern of TmTe2BrCl for CuKα, from a structure optimized by DFT (PBE).

The 12 most intense peaks (2θ = 5–70°), by angle:
2θ (°)	Rel. int.	(hkl)
12.1	100	0 0 1
13.8	17	1 0 0
14.3	43	1 -1 0
24.2	15	1 1 0
25.1	38	0 2 -1
26.9	28	1 -2 2
31.4	31	1 1 1
32.7	24	2 0 -2
33.0	29	2 0 1
34.1	26	-2 2 1
35.1	12	1 -2 3
41.2	11	2 0 -3

Structure:
```
TmTe2BrCl
1.0
7.279 0.000 0.000
-3.370 7.101 0.000
-0.050 -3.908 7.306
Tm Te Br Cl
2 4 2 2
direct
0.168 0.344 0.001
0.832 0.656 0.999
0.078 0.163 0.299
0.290 0.025 0.059
0.710 0.975 0.941
0.922 0.837 0.701
0.447 0.339 0.758
0.553 0.661 0.242
0.027 0.601 0.226
0.973 0.399 0.774
```

=====

No. 6
Theoretical X-ray powder pattern of ZnBrCl for CuKα, from a structure optimized by DFT (PBE).

The 12 most intense peaks (2θ = 5–70°), by angle:
2θ (°)	Rel. int.	(hkl)
15.0	60	0 0 2
23.3	11	1 0 0
24.5	50	1 0 1
27.8	100	1 0 2
32.6	24	1 0 3
36.5	23	1 1 2
45.4	62	1 1 4
47.5	27	2 0 0
50.1	11	2 0 2
52.2	15	1 0 6
____________
== Work order ==
Please repeat the material further up unchanged.
== Worked solution ==
No. 1
Theoretical X-ray powder pattern of ZrS4Br4Cl2 for CuKα, from a structure optimized by DFT (PBE).

The 12 most intense peaks (2θ = 5–70°), by angle:
2θ (°)	Rel. int.	(hkl)
14.7	39	1 1 1
16.0	50	0 1 1
16.3	56	1 0 1
21.6	29	1 0 -1
22.4	74	1 1 2
26.8	27	1 2 0
27.4	34	1 2 2
27.8	30	2 1 2
34.6	100	2 0 -1
34.8	38	-1 1 2
36.1	27	2 1 3
51.5	24	2 2 -2

Structure:
```
ZrS4Br4Cl2
1.0
7.363 0.000 0.000
3.562 6.564 0.000
3.392 2.127 6.951
Zr S Br Cl
1 4 4 2
direct
0.000 0.000 0.000
0.278 0.607 0.496
0.441 0.336 0.671
0.559 0.664 0.329
0.722 0.393 0.504
0.041 0.593 0.195
0.383 0.864 0.777
0.617 0.136 0.223
0.959 0.407 0.805
0.160 0.012 0.214
0.840 0.988 0.786
```

=====

No. 2
Theoretical X-ray powder pattern of Tb2Se2BrCl for CuKα, from a structure optimized by DFT (PBE).

The 12 most intense peaks (2θ = 5–70°), by angle:
2θ (°)	Rel. int.	(hkl)
10.3	100	0 0 1
18.7	48	0 1 1
23.9	26	1 0 1
30.0	83	1 0 2
31.5	39	0 2 0
40.0	14	1 2 1
41.5	23	1 1 3
42.0	13	0 0 4
44.0	15	2 0 0
44.1	57	1 2 2
53.5	13	0 2 4
55.1	16	2 2 0

Structure:
```
Tb2Se2BrCl
1.0
4.120 0.000 0.000
0.000 5.673 0.000
0.000 0.000 8.605
Tb Se Br Cl
2 2 1 1
direct
0.000 0.000 0.000
0.500 0.500 0.278
0.000 0.500 0.043
0.500 0.000 0.237
0.000 0.500 0.505
0.500 0.000 0.799
```

=====

No. 3
Theoretical X-ray powder pattern of ZrSe4Br4Cl2 for CuKα, from a structure optimized by DFT (PBE).

The 12 most intense peaks (2θ = 5–70°), by angle:
2θ (°)	Rel. int.	(hkl)
15.3	52	1 1 0
16.3	100	0 1 1
21.6	33	1 0 -1
21.9	51	1 1 2
27.3	51	1 2 2
32.4	43	0 2 -1
32.8	25	1 2 -1
34.6	51	2 0 -1
35.3	21	1 -2 0
35.8	26	1 2 3
36.6	24	3 2 1
49.4	28	3 4 2

Structure:
```
ZrSe4Br4Cl2
1.0
7.682 0.000 0.000
3.776 6.715 0.000
3.736 1.578 7.132
Zr Se Br Cl
1 4 4 2
direct
0.000 0.000 0.000
0.255 0.620 0.494
0.431 0.322 0.680
0.569 0.678 0.320
0.745 0.380 0.506
0.051 0.612 0.182
0.158 0.037 0.213
0.842 0.963 0.787
0.949 0.388 0.818
0.356 0.874 0.781
0.644 0.126 0.219
```

=====

No. 4
Theoretical X-ray powder pattern of Zr2Se2BrCl for CuKα, from a structure optimized by DFT (PBE).

The 12 most intense peaks (2θ = 5–70°), by angle:
2θ (°)	Rel. int.	(hkl)
10.8	100	0 0 1
19.9	12	0 1 1
26.3	14	1 0 1
31.3	13	1 1 1
32.5	80	1 0 2
33.7	40	0 2 0
35.5	12	0 2 1
36.8	13	1 1 2
44.2	12	0 0 4
47.5	63	1 2 2
49.0	14	2 0 0
60.8	14	2 2 0

Structure:
```
Zr2Se2BrCl
1.0
3.719 0.000 0.000
0.000 5.320 0.000
0.000 0.000 8.194
Zr Se Br Cl
2 2 1 1
direct
0.000 0.000 0.000
0.500 0.500 0.202
0.000 0.500 0.956
0.500 0.000 0.244
0.000 0.500 0.449
0.500 0.000 0.776
```

=====

No. 5
Theoretical X-ray powder pattern of TmTe2BrCl for CuKα, from a structure optimized by DFT (PBE).

The 12 most intense peaks (2θ = 5–70°), by angle:
2θ (°)	Rel. int.	(hkl)
12.1	100	0 0 1
13.8	17	1 0 0
14.3	43	1 -1 0
24.2	15	1 1 0
25.1	38	0 2 -1
26.9	28	1 -2 2
31.4	31	1 1 1
32.7	24	2 0 -2
33.0	29	2 0 1
34.1	26	-2 2 1
35.1	12	1 -2 3
41.2	11	2 0 -3

Structure:
```
TmTe2BrCl
1.0
7.279 0.000 0.000
-3.370 7.101 0.000
-0.050 -3.908 7.306
Tm Te Br Cl
2 4 2 2
direct
0.168 0.344 0.001
0.832 0.656 0.999
0.078 0.163 0.299
0.290 0.025 0.059
0.710 0.975 0.941
0.922 0.837 0.701
0.447 0.339 0.758
0.553 0.661 0.242
0.027 0.601 0.226
0.973 0.399 0.774
```

=====

No. 6
Theoretical X-ray powder pattern of ZnBrCl for CuKα, from a structure optimized by DFT (PBE).

The 12 most intense peaks (2θ = 5–70°), by angle:
2θ (°)	Rel. int.	(hkl)
15.0	60	0 0 2
23.3	11	1 0 0
24.5	50	1 0 1
27.8	100	1 0 2
32.6	24	1 0 3
36.5	23	1 1 2
45.4	62	1 1 4
47.5	27	2 0 0
50.1	11	2 0 2
52.2	15	1 0 6